Page 18 of Bound

“Are conduits really as rare as Iris claims?”

“Absolutely,” Merrik stressed. “It is a great honor to be—”

The door flew open and Tov stormed into the room. “That son of a whore refused to meet with us!”

Clearly, shocked by the news, Merrik turned toward his outraged teammate. “Have they heard the outcome of the assessment? How can they justify refusing to meet with us?”

“They are one of the founding families. They don’t need to justify their actions to the likes of me.”

Tov’s basic meaning was obvious, but Cara lacked context. Merrik, however, understood. They both looked furious.

“What is a founding family? And why does that excuse their rude behavior?”

Before Tov could explain, her parents walked into the room. Lezod spotted Tov, sneered disdainfully, and ordered Cara, “Get dressed. We are leaving.”

Anger snapped inside her like a spring. Who the fuck did he think he was? After everything she’d been through today, she refused to start the entire process over. “Why did you let them examine me if you had no intention of considering their contract seriously?” She still didn’t understand why Lezod had turned on Tov and Merrik, but it was obvious that he had.

“Your father doesn’t like it when his schemes do not turn out the way he anticipated,” Grinnel said with a faint smirk.

Cara couldn’t decide if she found her mother’s snark or her father’s deception more insulting. “Maybe it’s time to start letting full-grown women choose their own mates. Even a primitive planet like Earth has figured out the advantages of that.”

“The assessment is being reviewed,” Lezod told her coldly. “No decision will be made until President Raydo assures me that the proceedings were appropriate.”

“Appropriate?” she scoffed. “We have very different definitions of the word.”

“And when the security feed reveals that the only team not willing to abide by the parameters you established was the team you clearly expected to win?” Tov persisted, arms crossed over his chest. “Will Cara be ours then? Your biggest mistake was holding this here. Unlike chancellors and prefects, Zevon Raydo can’t be bought.”

Ah, now there was a name she recognized. Zevon Raydo had recently been elected president of the Citadel. He was making sweeping changes to Citadel polices, so he had many powerful enemies. He also had thousands of enthusiastic fans. Apparently, Tov was one of the latter.

-- Between two parts of the text: materials data --
____________
Record 1
Below is crystalline SrMg14Ti at its relaxed geometry, with properties calculated at the PBE level.

Summary:
- Symmetry: P-6m2, No. 187
- ΔE to the lowest computed polymorph: 0.0 meV/atom

Cell lengths 6.563, 6.563, 10.326 Å; angles 90.00, 90.00, 120.00 degrees
Sites, in units of the cell vectors:
Sr: 0.000 0.000 0.000
Mg: 0.000 0.500 0.500
Mg: 0.010 0.505 0.000
Mg: 0.168 0.336 0.264
Mg: 0.168 0.336 0.736
Mg: 0.168 0.832 0.264
Mg: 0.168 0.832 0.736
Mg: 0.495 0.505 0.000
Mg: 0.495 0.990 0.000
Mg: 0.500 0.000 0.500
Mg: 0.500 0.500 0.500
Mg: 0.664 0.832 0.264
Mg: 0.664 0.832 0.736
Mg: 0.667 0.333 0.245
Mg: 0.667 0.333 0.755
Ti: 0.000 0.000 0.500

Record 2
Below is crystalline Li14Co2S9 at its relaxed geometry, with properties calculated at the PBE level.

Summary:
- Symmetry: P-3, No. 147

Cell lengths 6.986, 6.986, 9.802 Å; angles 90.00, 90.00, 120.00 degrees
Sites, in units of the cell vectors:
Li: 0.000 0.000 0.250
Li: 0.000 0.000 0.750
Li: 0.019 0.672 0.410
Li: 0.042 0.366 0.092
Li: 0.324 0.958 0.092
Li: 0.328 0.347 0.410
Li: 0.347 0.019 0.590
Li: 0.366 0.324 0.908
Li: 0.634 0.676 0.092
Li: 0.653 0.981 0.410
Li: 0.672 0.653 0.590
Li: 0.676 0.042 0.908
Li: 0.958 0.634 0.908
Li: 0.981 0.328 0.590
Co: 0.333 0.667 0.756
Co: 0.667 0.333 0.244
S: 0.000 0.000 0.500
S: 0.037 0.345 0.838
S: 0.308 0.963 0.838
S: 0.333 0.667 0.521
S: 0.345 0.308 0.162
S: 0.655 0.692 0.838
S: 0.667 0.333 0.479
S: 0.692 0.037 0.162
S: 0.963 0.655 0.162

Record 3
Below is crystalline Lu2Co12P7 at its relaxed geometry, with properties calculated at the PBE level.

Summary:
- Symmetry: P-6, No. 174

Cell lengths 8.962, 8.962, 3.561 Å; angles 90.00, 90.00, 120.00 degrees
Sites, in units of the cell vectors:
Lu: 0.000 0.000 0.000
Lu: 0.333 0.667 0.500
Co: 0.041 0.769 0.500
Co: 0.103 0.387 0.000
Co: 0.231 0.273 0.500
Co: 0.284 0.897 0.000
Co: 0.433 0.232 0.000
Co: 0.512 0.060 0.500
Co: 0.548 0.488 0.500
Co: 0.613 0.716 0.000
Co: 0.727 0.959 0.500
Co: 0.768 0.201 0.000
Co: 0.799 0.567 0.000
Co: 0.940 0.452 0.500
P: 0.071 0.624 0.000
P: 0.259 0.040 0.500
P: 0.376 0.447 0.000
P: 0.553 0.929 0.000
P: 0.667 0.333 0.500
P: 0.782 0.741 0.500
P: 0.960 0.218 0.500

Record 4
Below is crystalline PrMg at its relaxed geometry, with properties calculated at the PBE level.

Summary:
- Symmetry: Pm-3m, No. 221

Cell lengths 3.912, 3.912, 3.912 Å; angles 90.00, 90.00, 90.00 degrees
Sites, in units of the cell vectors:
Pr: 0.000 0.000 0.000
Mg: 0.500 0.500 0.500

Record 5
Below is crystalline Bi6B10O21 at its relaxed geometry, with properties calculated at the PBE level.

Summary:
- Symmetry: P-1, No. 2

Cell lengths 7.089, 7.162, 11.353 Å; angles 77.40, 86.38, 63.31 degrees
Sites, in units of the cell vectors:
Bi: 0.154 0.268 0.134
Bi: 0.211 0.001 0.942
Bi: 0.240 0.270 0.589
Bi: 0.760 0.730 0.411
Bi: 0.789 0.999 0.058
Bi: 0.846 0.732 0.866
B: 0.136 0.789 0.544
B: 0.171 0.675 0.273
B: 0.380 0.446 0.911
B: 0.421 0.821 0.226
B: 0.438 0.570 0.699
B: 0.562 0.430 0.301
B: 0.579 0.179 0.774
____________

Merrik moved up beside Tov, blocking Lezod’s path to Cara. “We accepted this invitation in good faith. It will reflect badly on the House of Slanar if your word can no longer be trusted.”

“I will worry about the House of Slanar.” Lezod leaned far enough to the side that Cara could see him. “I said get dressed.”

“The attendants have my clothes.” She matched his impatient tone.

“Then that will have to do.” He lunged forward and grabbed her arm and dragged her out from behind Merrik.

“What the hell is wrong with you?” She tugged against Lezod’s hold, but he was stronger than he looked.

She reached for Merrik with her free hand as Lezod dragged her past. If someone had to have authority over her life, she would rather submit to Tov and Merrik than her father—or Chancellor Laeth!

Merrik shook his head, regret clear in his eyes.We cannot interfere until the review is complete, but he cannot offer you to anyone else. Be patient. We will come for you.

With a clearer understanding of the situation, she stopped struggling. Once they reached the corridor, her father released her arm. They only encountered a few staff members on the way to the departure ring and no one seemed surprised to see a woman dressed in a bathrobe.

Tov’s warning about the need for sex in the heat of battle and being displayed after discipline echoed back to her now. Did she really want to be part of a society so desensitized to sex that it was nothing special, no more meaningful than a hearty meal? Thanks to the assessment, those situations were much too easy to imagine. Humiliation, pain, and staggering pleasure all blended into a conflicted mess; was that really what the rest of her life was destined to be?

They reached the transport and a uniformed crewmember helped her onboard. The ship was slightly larger than a shuttle and infinitely nicer. There were two rows of forward-facing seats, but the center-facing seats farther back had built-in footrests. All of the seats were wide and deeply padded, clearly meant for comfort rather than safety. Cara sat near the back and her parents faced her.

“What is your objection to Tov and Merrik?” she asked once the transport had cleared the departure ring.

Lezod made a sound that was part sneer. His jaw clenched and anger reignited in his gaze. “No daughter of mine is mating with a filthy pirate. The blood of the founders flows through your veins. You were meant for better things than those two.”

“Who the hell were the founders? You keep saying that as if it explains everything.”

Lezod scowled at her. “You had access to the research library for weeks. What were you reading during all that time?”

“The history and development of the Citadel,” she countered sharply. She could see why Lezod and Ephrod got along so well. They were both sanctimonious snobs. “That seemed most appropriate to my situation.”